Prepared Remarks of Senator Domenici on the U.S. Forest Service FY 2008 Budget Request Hearing
== Next to the text, the page also holds data records ==
# BaNaEuSi, relaxed, DFT PBE
data_BaNaEuSi
_chemical_formula_sum 'Ba4 Na4 Eu4 Si4'
_symmetry_space_group_name_H-M 'F -4 3 m'
_symmetry_Int_Tables_number 216
_symmetry_space_group_name_Hall 'F -4 2 3'
_cell_length_a 8.021
_cell_length_b 8.021
_cell_length_c 8.021
_cell_angle_alpha 90.00
_cell_angle_beta 90.00
_cell_angle_gamma 90.00
loop_
_atom_site_label
_atom_site_fract_x
_atom_site_fract_y
_atom_site_fract_z
_atom_site_occupancy
Ba1 0.000 0.000 0.000 1
Na1 0.250 0.250 0.750 1
Eu1 0.000 0.000 0.500 1
Si1 0.250 0.250 0.250 1
# E ... -19.40 eV per formula unit
# Volume ... 32.25 A^3/atom

----------

[1]
TaReC3: relaxed, PBE-GGA.

abc: 4.0509 4.0509 4.0509
angles: 90.00 90.00 90.00
Space group Pm-3m (No. 221)
Asymmetric unit:
Ta 0.0000 0.0000 0.0000 (multiplicity 1)
Re 0.5000 0.5000 0.5000 (multiplicity 1)
C 0.0000 0.0000 0.5000 (multiplicity 3)

Results
- ΔH_f (0 K): 245.2 kJ/mol of atoms
- Calculated total energy: -7.8530 eV per atom
- Relative energy among the computed polymorphs: 763 meV/atom


[2]
TaReC2: relaxed, PBE-GGA.

abc: 5.4874 5.4874 5.4874
angles: 90.00 90.00 90.00
Space group Fm-3m (No. 225)
Asymmetric unit:
Ta 0.0000 0.0000 0.0000 (multiplicity 4)
Re 0.0000 0.0000 0.5000 (multiplicity 4)
C 0.2500 0.2500 0.2500 (multiplicity 8)

Results
- ΔH_f (0 K): 57.9 kJ/mol of atoms
- Calculated total energy: -10.0870 eV per atom
- Relative energy among the computed polymorphs: 257 meV/atom


[3]

-- Misplaced materials data --
- - -
NaReW2 (PBE, relaxed); N(E_F) = 4.41 states/eV/f.u.; ΔH_f (0 K) = 0.911 eV/atom; energy relative to the lowest polymorph listed for this composition = 0.000 eV/atom; space-group type = Fm-3m
1.0
6.357 0.000 0.000
0.000 6.357 0.000
0.000 0.000 6.357
Na Re W
4 4 8
Cartesian
0.000 0.000 0.000
0.000 3.178 3.178
3.178 0.000 3.178
3.178 3.178 0.000
0.000 0.000 3.178
0.000 3.178 0.000
3.178 0.000 0.000
3.178 3.178 3.178
1.589 1.589 1.589
1.589 1.589 4.768
1.589 4.768 1.589
1.589 4.768 4.768
4.768 1.589 1.589
4.768 1.589 4.768
4.768 4.768 1.589
4.768 4.768 4.768

* * * * *

[1]
A plane-wave DFT calculation with GGA-PBE was carried out for an optimized crystal structure of SrSm2As2.

Computed properties:
Crystal system ... trigonal
Electronic total energy ... -25.4 eV per cell

a b c (Å): 10.4304 10.4304 10.4304
angles (deg): 23.93 23.93 23.93
With the nearest neighbours (Å) after each atom.
Fractional coordinates of all 5 atoms:
As 0.3986 0.3986 0.3986  3 Sm 2.88, 3 Sr 3.19
As 0.6014 0.6014 0.6014  3 Sm 2.88, 3 Sr 3.19
Sm 0.2210 0.2210 0.2210  3 As 2.88
Sm 0.7790 0.7790 0.7790  3 As 2.88
Sr 0.0000 0.0000 0.0000  6 As 3.19

***

[2]
A plane-wave DFT calculation with GGA-PBE was carried out for an optimized crystal structure of SmTaAs.

Computed properties:
Crystal system ... cubic
Electronic total energy ... -18.3 eV per cell

a b c (Å): 4.9016 4.9016 4.9016
angles (deg): 60.00 60.00 60.00
With the nearest neighbours (Å) after each atom.
Fractional coordinates of all 3 atoms:
As 0.2500 0.2500 0.2500  4 Sm 3.00
Sm 0.0000 0.0000 0.0000  4 As 3.00, 4 Ta 3.00
Ta 0.7500 0.7500 0.7500  4 Sm 3.00

***

[3]
A plane-wave DFT calculation with GGA-PBE was carried out for an optimized crystal structure of SmTaAs.

Computed properties:
Crystal system ... cubic
Electronic total energy ... -21.3 eV per cell

a b c (Å): 4.6189 4.6189 4.6189
angles (deg): 60.00 60.00 60.00
With the nearest neighbours (Å) after each atom.
Fractional coordinates of all 3 atoms:
As 0.0000 0.0000 0.0000  4 Ta 2.83, 4 Sm 2.83
Sm 0.2500 0.2500 0.2500  4 As 2.83
Ta 0.7500 0.7500 0.7500  4 As 2.83

* * * * *

Entry from the Alexandria database: crystalline ErV2CuO8 at its relaxed geometry (PBE with a Hubbard U).

POSCAR file:
```
ErV2CuO8
1.0
5.765 0.000 0.000
-2.883 4.993 0.000
0.000 0.000 5.761
Er V Cu O
1 2 1 8
Direct
0.000 0.000 0.000
0.333 0.667 0.640
0.667 0.333 0.360
0.000 0.000 0.500
0.160 0.321 0.728
0.160 0.840 0.728
0.321 0.160 0.272
0.333 0.667 0.357
0.667 0.333 0.643
0.679 0.840 0.728
0.840 0.160 0.272
0.840 0.679 0.272
```

Properties
Total magnetization ... 1.991 μB/cell
Final energy ... -85.13 eV/f.u.
- - -
February 28, 2007
11:41 AM
Washington, D.C. – The Senate Energy & Natural Resources Committee today held an hearing on the Department of Energy FY 2008 budget.
Below is the prepared text of Senator Domenici’s statement:
“Chairman Bingaman I want to thank you for scheduling this hearing.  I would also like to welcome Undersecretary for Natural Resources and the Environment, Mark Rey, and the new Chief of the Forest Service, Gail Kimbell.
“Gail, this is your first hearing before this Committee as Chief of the Forest Service and we appreciate your willingness to lead the Forest Service during this time.  I am also hopeful that you will fully implement your predecessor’s plan to reduce the costs of the Washington Office and Regional Offices by 25 percent so that funding can be shifted to the forests and Districts where it is so desperately needed.
“I do want to mention three issues in this budget that concern me.
These materials data were left in the page by mistake =
~~~
# 1
# LaReAs2 | Alexandria | GGA-PBE | relaxed
data_LaReAs2
_space_group_name_H-M_alt 'R 3 m'
_space_group_IT_number 160
_space_group_name_Hall 'R 3 -2"'
_cell_length_a 3.2226
_cell_length_b 3.2226
_cell_length_c 28.0061
_cell_angle_alpha 90.00
_cell_angle_beta 90.00
_cell_angle_gamma 120.00
loop_
_atom_site_label
_atom_site_type_symbol
_atom_site_fract_x
_atom_site_fract_y
_atom_site_fract_z
La1 La 0.0000 0.0000 0.0000
Re1 Re 0.0000 0.0000 0.7591
As1 As 0.0000 0.0000 0.2418
As2 As 0.0000 0.0000 0.4849
# E   -6.412 eV per atom
# Offset from the most stable computed form   830 meV/atom
# Formation enthalpy at 0 K   257 meV/atom
# Magnetization   0.0 μB/cell


# 2
# Sb2IrOs | Alexandria | GGA-PBE | relaxed
data_Sb2IrOs
_space_group_name_H-M_alt 'I -4 m 2'
_space_group_IT_number 119
_space_group_name_Hall 'I -4 -2'
_cell_length_a 3.918
_cell_length_b 3.918
_cell_length_c 9.570
_cell_angle_alpha 90.00
_cell_angle_beta 90.00
_cell_angle_gamma 90.00
loop_
_atom_site_label
_atom_site_type_symbol
_atom_site_fract_x
_atom_site_fract_y
_atom_site_fract_z
Sb1 Sb 0.000 0.000 0.000
Sb2 Sb 0.000 0.500 0.250
Ir1 Ir 0.000 0.500 0.750
Os1 Os 0.000 0.000 0.500
# E_form (uncorrected)   2.4 eV/f.u.
# E   -6.479 eV per atom
# Offset from the most stable computed form   372 meV/atom
# Magnetization   0.0 μB/cell


# 3
# Hf4Ti2Co | Alexandria | GGA-PBE | relaxed
data_Hf4Ti2Co
_space_group_name_H-M_alt 'I 4/m m m'
_space_group_IT_number 139
_space_group_name_Hall '-I 4 2'
_cell_length_a 4.631
_cell_length_b 4.631
_cell_length_c 14.539
_cell_angle_alpha 90.00
_cell_angle_beta 90.00
_cell_angle_gamma 90.00
loop_
_atom_site_label
_atom_site_type_symbol
_atom_site_fract_x
_atom_site_fract_y
_atom_site_fract_z
Hf1 Hf 0.000 0.000 0.172
Hf2 Hf 0.000 0.500 0.000
Ti1 Ti 0.000 0.000 0.368
Co1 Co 0.000 0.000 0.000
# E   -8.360 eV per atom
# Formation enthalpy at 0 K   599 meV/atom
# Magnetization   6.8 μB/cell


Question: What is the magnetization in the first record?
Answer: 0.0 μB/cell


What did the third record say?
# Hf4Ti2Co | Alexandria | GGA-PBE | relaxed
data_Hf4Ti2Co
_space_group_name_H-M_alt 'I 4/m m m'
_space_group_IT_number 139
_space_group_name_Hall '-I 4 2'
_cell_length_a 4.631
_cell_length_b 4.631
_cell_length_c 14.539
_cell_angle_alpha 90.00
_cell_angle_beta 90.00
_cell_angle_gamma 90.00
loop_
_atom_site_label
_atom_site_type_symbol
_atom_site_fract_x
_atom_site_fract_y
_atom_site_fract_z
Hf1 Hf 0.000 0.000 0.172
Hf2 Hf 0.000 0.500 0.000
Ti1 Ti 0.000 0.000 0.368
Co1 Co 0.000 0.000 0.000
# E   -8.360 eV per atom
# Formation enthalpy at 0 K   599 meV/atom
# Magnetization   6.8 μB/cell


Question: Among the records above, which one has the lowest E?
Answer: Hf4Ti2Co

* * * * *

(1)
{
  "formula": "HoSbSO2",
  "functional": "PBE",
  "state": "relaxed",
  "lattice_angstrom": [[6.338, 0.000, 0.000], [0.000, 3.887, 0.000], [-2.125, 0.000, 7.230]],
  "species": ["Ho", "Ho", "Sb", "Sb", "S", "S", "O", "O", "O", "O"],
~~~
“First, I am increasingly concerned by the Administration’s decision to fund the Valles Caldera Preservation Trust at only $850,000 in FY 2008.  This level is unacceptable, and in my view, penny wise and pound foolish.  Congress and the Administration passed the Valles Caldera Preservation Trust Act and invested $100 million to establish that Trust.  It makes absolutely no sense to me that we would risk the success of this program because we are unwilling to provide 4 or 5 million dollars for several years to maintain the annual operations at the Caldera.  
“I understand that in the long run the Trust will need to become financially self-sufficient, but we are going to have to give them some time to accomplish that.  It is my view that the Administration is going to have to find ways to increase their budget for the Valles Caldera Trust until the Trust gets up and running.
“Second, I note the proposals to add a line item for fire fighters’ salaries ($219.7 million) and to reduce fire preparedness by an additional $90 million.   I also note that your budget justification lacked any discussion on these two line items.  I find this troubling and will have a number of questions about fire preparedness. 
“I noticed a survey of federal fire fighters suggests that many are strongly considering getting out of fire fighting because they fear the liability they might face if investigated by the Office of Inspector General.  I will have a couple of questions on the cost of liability insurance for your key employees and what you are doing to address this situation.
“I hope this budget will maintain the 98% initial attack fire suppression success you’ve produced in the past, although quite frankly, I don’t see how it can at these proposed funding levels.
“Third, I see that the FY 2008 budget proposal continues to include a proposal that failed to find much support on the Hill last year.  I am speaking about your proposal to sell land to pay for the Secure Rural Schools and Community Self-determination Act. 
“Your latest proposal on funding the Secure Rural Schools and Community Self-determination Act will share half the revenues generated to purchase conservation lands in the states where those revenues are generated.  I am still skeptical that you will find sufficient support for this program when 75 percent of those payments go to Oregon, Washington and California.”